植被一直是地气相互作用研究的重点。数值模拟是目前研究植被对大气反馈作用的主要方法。全球和区域气候模式的网格距较大 ,以致于不能真实地描述地表植被覆盖差异 ,因而模拟结果存在一定的不确定性。目前 ,耦合陆面植被模式的中尺度气象模式已成为研究实际的植被建设方案影响天气过程的唯一有效手段。运用中尺度气象模式 MM5 ,模拟了陕北黄土高原地区一次区域性降雨过程及局地环境要素对两种不同的退耕还林方案的敏感性。模式的中心点定于 (37.8°N、1 0 8.8°E) ,模拟区域为(1 0 4 .0 2~ 1 1 3.5 8°E ,33.93~ 4 1 .4 8°N) ,水平分辨率 9km,垂直分层 2 3层 ,时间积分步长 30 s,以美国国家环境预测中心(NCEP)再分析资料作为大尺度背景场。模拟结果表明 ,陕北地区下垫面植被改善后 ,能够使区域降雨的雨带北移 ,降雨量增加 ,降雨过程延长 ,这对于改善陕北地区干旱的气候环境 ,扩展动植物的生存区域具有重要的意义。此外 ,陕北地区植被改善还能够使区域的地表径流减少 ,对于减少黄河输沙量 ,清洁黄河水源 ,保持当地水土具有积极的意义。由于下垫面的变化 ,局地的环境要素也发生了一些相应的变化 :空气湿度增加 ,土壤湿度在短时间内有一定程度的减少 ,长期有增加的趋势 ,气温和土壤温度有一定程度升高 ,
Vegetation plays an important role in land-air interaction. Physically based modeling is an important tool for studying the feedback processes of vegetation to atmosphere. However, it is hard for us to study the effect of different land use on local environments using general climate models (GCMs) and regional climate models (RegCMs) owing to their low resolutions. Meso-scale models have advantages of high resolution, so, coupled with the land surface model, they can be employed to simulate the effect of real vegetation scheme to local weather. In this paper, we use MM5V3 to investigate the sensitivity of local rainfall and environmental conditions to two different vegetation development schemes in northern Shaanxi Province. The domain for simulation is located at (104.02~113.58°E ,33.93 ~41.48°N), centering at (37.8°N,108.8°E), with 9km horizontal resolution. The vertical atmosphere is divided to 23 levels. Time step is 30s. We adopt the reanalysis data from National Centers for Environmental Prediction (NCEP) as the larger scale background weather field. Results indicate that improving the vegetation of northern Shaanxi may shift the local rainbelt northward, increase local precipitation, prolong the rainfall process, which would be good for alleviating the local drought and enlarging the life-form's living space. Furthermore, it can also decrease the surface runoff, and clear the water resource of the Yellow River by holding back the quicksand, which flowing with surface runoff. It is showed that the local environmental conditions would occur some changes accordingly, such as increasing air moisture, air temperature and soil temperature; and decreasing surface temperature and soil moisture, but the soil moisture has showed the increasing tend in the long term. Our research shows that different vegetation schemes may lead to almost uniform variation except for some difference of quantities. The larger the vegetation variation scale is, the more notable these influences are.
Acta Ecologica Sinica
Next to the page, the page also holds calculated crystals =
........
Calculated X-ray powder pattern
Compound: TbCoNi
Radiation: Cu Kα
Structure: a cell relaxed with PBE
No peak broadening, texture or thermal motion is included.

Main lines, by angle (2θ = 10–90°):
2θ (°)	d (Å)	I/Imax	h k l
26.2	3.404	18.9	1 0 0
35.2	2.551	100.0	1 0 1
46.2	1.965	38.0	1 1 0
47.2	1.926	11.9	0 0 2
59.4	1.557	21.5	2 0 1
68.2	1.375	22.8	1 1 2
78.4	1.220	18.8	2 1 1
79.8	1.201	9.0	1 0 3

Cell and atoms:
```
data_TbCoNi
_chemical_formula_sum 'Tb1 Co1 Ni1'
_cell_length_a 3.9303
_cell_length_b 3.9303
_cell_length_c 3.8519
_cell_angle_alpha 90.00
_cell_angle_beta 90.00
_cell_angle_gamma 120.00
_space_group_name_H-M_alt 'P -6 m 2'
_space_group_IT_number 187
_space_group_name_Hall 'P -6 2'
loop_
_atom_site_label
_atom_site_type_symbol
_atom_site_fract_x
_atom_site_fract_y
_atom_site_fract_z
_atom_site_occupancy
Tb1 Tb 0.0000 0.0000 0.0000 1
Co1 Co 0.6667 0.3333 0.5000 1
Ni1 Ni 0.3333 0.6667 0.5000 1
```

----------

Simulated powder XRD pattern
Compound: MnH2C2O4
Radiation: Cu Kα X-rays
Structure: the GGA+U geometry in the Materials Project
Kinematic intensities with the Lorentz-polarization factor, no thermal factor.

Atomic structure:
```
data_MnH2C2O4
_chemical_formula_sum 'Mn4 H8 C8 O16'
_cell_length_a 7.644
_cell_length_b 9.647
_cell_length_c 5.940
_cell_angle_alpha 90.00
_cell_angle_beta 90.00
_cell_angle_gamma 90.00
_space_group_name_H-M_alt 'P b c n'
_space_group_IT_number 60
loop_
_space_group_symop_operation_xyz
'x,y,z'
'-x,-y,-z'
'-x+1/2,-y+1/2,z+1/2'
'x+1/2,y+1/2,-z+1/2'
'x+1/2,-y+1/2,-z'
'-x+1/2,y+1/2,z'
'-x,y,-z+1/2'
'x,-y,z+1/2'
loop_
_atom_site_label
_atom_site_type_symbol
_atom_site_fract_x
_atom_site_fract_y
_atom_site_fract_z
Mn1 Mn 0.000 0.106 0.250
H1 H 0.165 0.412 0.191
C1 C 0.221 0.369 0.347
O1 O 0.152 0.063 0.935
O2 O 0.158 0.259 0.427
```

Largest 6 diffraction maxima, in order of rising 2θ, 10 to 80 degrees two-theta:
h k l, 2θ (°), d [Å], I (rel.)
1 1 0, 14.79, 5.991, 100
1 1 1, 21.06, 4.218, 51
1 2 1, 26.51, 3.363, 17
1 0 2, 32.34, 2.768, 16
2 2 1, 33.50, 2.675, 45
3 3 1, 48.03, 1.894, 24

----------

[1]
The following is a theoretical PXRD pattern of Ga3Ag3Sb. It was derived from a DFT-relaxed cell (PBE, Alexandria), using CuKα.

```
Ga3Ag3Sb
1.0
7.2067 0.0000 0.0000
0.0000 7.2067 0.0000
0.0000 0.0000 7.2067
Ga Ag Sb
6 6 2
direct
0.0000 0.2500 0.5000
0.0000 0.7500 0.5000
0.2500 0.5000 0.0000
0.5000 0.0000 0.2500
0.5000 0.0000 0.7500
0.7500 0.5000 0.0000
0.0000 0.5000 0.2500
0.0000 0.5000 0.7500
0.2500 0.0000 0.5000
0.5000 0.2500 0.0000
0.5000 0.7500 0.0000
0.7500 0.0000 0.5000
0.0000 0.0000 0.0000
0.5000 0.5000 0.5000
```

Most intense lines, 15 to 90 degrees two-theta, in order of rising 2θ:
| 2θ (°) | d (Å) | I_rel |
| --- | --- | --- |
| 24.7 | 3.603 | 42 |
| 30.4 | 2.942 | 100 |
| 43.5 | 2.080 | 25 |
| 47.2 | 1.926 | 58 |
| 50.7 | 1.802 | 28 |
| 57.2 | 1.611 | 16 |
| 60.2 | 1.536 | 14 |
| 71.7 | 1.316 | 16 |
| 74.5 | 1.274 | 17 |
| 82.5 | 1.169 | 16 |



[2]
........
国家科技部 973预研项目 ( 2 0 0 3 ccc0 15 0 0 )
陕西省自然科学基金资助项目 ( 2 0 0 1D10 )
The following is a theoretical powder diffraction line list of LiNiPHO5. It was derived from a DFT-relaxed cell (PBE+U, Alexandria), using a wavelength of 1.5418 Å.

Cell and atoms:
```
data_LiNiPHO5
_symmetry_space_group_name_H-M 'P -1'
_symmetry_Int_Tables_number 2
_symmetry_space_group_name_Hall '-P 1'
_cell_length_a 5.146
_cell_length_b 5.433
_cell_length_c 7.126
_cell_angle_alpha 106.67
_cell_angle_beta 108.16
_cell_angle_gamma 99.49
loop_
_atom_site_label
_atom_site_fract_x
_atom_site_fract_y
_atom_site_fract_z
Li1 0.249 0.112 0.180
Ni1 0.000 0.500 0.000
Ni2 0.000 0.500 0.500
P1 0.325 0.135 0.764
H1 0.350 0.582 0.347
O1 0.117 0.155 0.881
O2 0.152 0.459 0.275
O3 0.281 0.280 0.605
O4 0.314 0.836 0.660
O5 0.363 0.754 0.068
```

Top 8 peaks for 10 to 90 degrees two-theta, most intense first:
27.4 deg, d = 3.252 Å, rel. 100
29.5 deg, d = 3.026 Å, rel. 51
18.9 deg, d = 4.695 Å, rel. 35
35.7 deg, d = 2.517 Å, rel. 29
17.7 deg, d = 4.998 Å, rel. 28
22.1 deg, d = 4.030 Å, rel. 26
25.8 deg, d = 3.452 Å, rel. 15
18.8 deg, d = 4.724 Å, rel. 15

=====

[1]
LiPm2PaO6: calculated powder XRD pattern (Cu Kα (weighted mean of Kα1 and Kα2)), based on DFT lattice parameters and positions (PBE).
Kinematic intensities with the Lorentz-polarization factor, no thermal factor.

Top 8 peaks for 10 to 90 degrees two-theta, by angle:
d/Å  two_theta  I (rel.)
4.865  18.2  724
3.046  29.3  993
2.966  30.1  1000
2.557  35.1  334
2.125  42.5  436
1.921  47.3  323
1.728  53.0  438
1.712  53.5  307

Cell and atoms:
a = 6.0974 Å, b = 6.0974 Å, c = 6.0974 Å
α = 58.22°, β = 58.22°, γ = 58.22°
Fractional coordinates of all 10 atoms:
Li 0.0000 0.0000 0.0000
Pm 0.2783 0.2783 0.2783
Pm 0.7820 0.7820 0.7820
Pa 0.4958 0.4958 0.4958
O 0.1257 0.6815 0.3915
O 0.2082 0.6045 0.8650
O 0.3915 0.1257 0.6815
O 0.6045 0.8650 0.2082
O 0.6815 0.3915 0.1257
O 0.8650 0.2082 0.6045

[2]
Li4PaPt3O12: calculated powder XRD pattern (Cu Kα (weighted mean of Kα1 and Kα2)), based on DFT lattice parameters and positions (PBE).
Kinematic intensities with the Lorentz-polarization factor, no thermal factor.

Top 8 peaks for 10 to 90 degrees two-theta, by angle:
d/Å  two_theta  I (rel.)
3.729  23.9  1000
2.637  34.0  823
2.153  42.0  390
1.865  48.8  196
1.668  55.1  414
1.522  60.8  402
1.243  76.7  231
1.179  81.6  155

Cell and atoms:
a = 6.4589 Å, b = 6.4589 Å, c = 6.4589 Å
α = 109.47°, β = 109.47°, γ = 109.47°
Fractional coordinates of all 20 atoms:
Li 0.0000 0.0000 0.5000
Li 0.0000 0.5000 0.0000
Li 0.5000 0.0000 0.0000
Li 0.5000 0.5000 0.5000
Pa 0.0000 0.0000 0.0000
Pt 0.0000 0.5000 0.5000
Pt 0.5000 0.0000 0.5000
Pt 0.5000 0.5000 0.0000
O 0.1354 0.2990 0.8363
O 0.1637 0.4627 0.2990
O 0.1637 0.8646 0.7010
O 0.2990 0.1637 0.4627
O 0.2990 0.8363 0.1354
O 0.4627 0.2990 0.1637
O 0.5373 0.7010 0.8363
O 0.7010 0.1637 0.8646
O 0.7010 0.8363 0.5373
O 0.8363 0.1354 0.2990
O 0.8363 0.5373 0.7010
O 0.8646 0.7010 0.1637

[3]
End of the crystal structures.
陕西省科技攻关项目 ( 2 0 0 2 K0 4-G14 )
陕西省生态办资助项目 ( 1999-0 0 3 )~~
The page is interrupted by materials data:
Entry 1:
# Fe2NiP2O8
Calculated powder diffraction line list, Cu Kα (λ = 1.5418 Å). Input: a crystal structure in the Materials Project, relaxed with PBE+U.
No peak broadening, texture or thermal motion is included.

Main lines, sorted by position (2θ = 10–80°):
2θ (°)	I_rel
14.71	32
22.72	50
25.12	100
29.67	29
31.69	57
34.97	76
36.05	40
36.23	24
51.29	24
51.53	41

abc: 6.023 4.858 10.409
angles: 90.00 90.68 90.00
Sites, in units of the cell vectors:
Fe: 0.000 0.000 0.247
Fe: 0.000 0.500 0.753
Fe: 0.263 0.518 0.469
Fe: 0.737 0.018 0.531
Ni: 0.263 0.990 0.973
Ni: 0.737 0.490 0.027
P: 0.241 0.069 0.654
P: 0.243 0.429 0.147
P: 0.757 0.929 0.853
P: 0.759 0.569 0.346
O: 0.030 0.218 0.591
O: 0.032 0.279 0.084
O: 0.222 0.753 0.648
O: 0.227 0.746 0.142
O: 0.247 0.179 0.794
O: 0.248 0.319 0.287
O: 0.433 0.183 0.572
O: 0.438 0.312 0.067
O: 0.562 0.812 0.933
O: 0.567 0.683 0.428
O: 0.752 0.819 0.713
O: 0.753 0.679 0.206
O: 0.773 0.246 0.858
O: 0.778 0.253 0.352
O: 0.968 0.779 0.916
O: 0.970 0.718 0.409

Entry 2:
# Li9Mn2Co5O16
Calculated powder diffraction line list, Cu Kα (λ = 1.5418 Å). Input: a crystal structure in the Materials Project, relaxed with PBE+U.
No peak broadening, texture or thermal motion is included.

Main lines, sorted by position (2θ = 10–80°):
2θ (°)	I_rel
18.38	100
36.01	28
36.59	12
43.50	56
44.33	26
47.91	9
57.34	10
63.00	7
63.40	22
64.33	14

abc: 4.997 5.865 9.822
angles: 90.00 100.54 90.00
Sites, in units of the cell vectors:
Li: 0.000 0.000 0.000
Li: 0.244 0.506 0.753
Li: 0.245 0.002 0.754
Li: 0.245 0.246 0.248
Li: 0.245 0.759 0.248
Li: 0.755 0.002 0.246
Li: 0.755 0.246 0.752
Li: 0.755 0.759 0.752
Li: 0.756 0.506 0.247
Mn: 0.000 0.510 0.000
Mn: 0.500 0.243 0.000
Co: 0.000 0.253 0.500
Co: 0.000 0.754 0.500
Co: 0.500 0.004 0.500
Co: 0.500 0.504 0.500
Co: 0.500 0.756 0.000
O: 0.134 0.004 0.382
O: 0.134 0.738 0.890
O: 0.137 0.270 0.890
O: 0.139 0.506 0.385
O: 0.361 0.255 0.616
O: 0.365 0.757 0.615
O: 0.367 0.503 0.108
O: 0.399 0.005 0.111
O: 0.601 0.005 0.889
O: 0.633 0.503 0.892
O: 0.635 0.757 0.385
O: 0.639 0.255 0.384
O: 0.861 0.506 0.615
O: 0.863 0.270 0.110
O: 0.866 0.004 0.618
O: 0.866 0.738 0.110

Entry 3:
# Li2CrNiO4
Calculated powder diffraction line list, Cu Kα (λ = 1.5418 Å). Input: a crystal structure in the Materials Project, relaxed with PBE+U.
No peak broadening, texture or thermal motion is included.

Main lines, sorted by position (2θ = 10–80°):
2θ (°)	I_rel
18.46	100
35.79	43
37.44	19
43.50	78
47.67	10
57.52	12
63.16	21
63.26	21
66.44	10
79.90	9

abc: 5.093 2.939 5.100
angles: 90.00 109.36 90.00
Sites, in units of the cell vectors:
Li: 0.000 0.000 0.000
Li: 0.000 0.500 0.500
Cr: 0.500 0.000 0.500
Ni: 0.500 0.500 0.000
O: 0.267 0.500 0.269
O: 0.280 0.000 0.752
O: 0.720 0.000 0.248
O: 0.733 0.500 0.731

Entry 4:
# GeWO4
Calculated powder diffraction line list, Cu Kα (λ = 1.5418 Å). Input: a crystal structure in the Materials Project, relaxed with PBE+U.
No peak broadening, texture or thermal motion is included.
ecological development scheme
Loess plateau of northern Shaanxi
summer rainfall
numerical simulation